Everybody, everybody, get your bowl on! Join us for (what we honestly believe to be) St. Louis’ first ever Clothing Optional Bowling Party. $20 gets you three hours of clothing optional bowling and/or billiards, shoe rental and free food. Cash bar (no outside beverages, please) Catering By Shameless Grounds Music provided by DJ Shawn Gaston […]
Tag Archives: David Wraith
Active Transportation for Health at Every Size (Part 1 of 2)
Here at Sex Positive St. Louis, from Clothing Optional Meetups to the World Naked Bike Ride, we’re all about body acceptance. So, when I heard that a friend from my undergrad days, personal trainer and mixed martial artist, Tracy Herold, was leading a discussion for TrailNet’s “TrailNet on Tap” series on Active Transportation for Health […]
Active Transportation for Health at Every Size (Part 2 of 2)
This is part two of my interview with martial artist and personal trainer, Tracy Herold, on the Healthy at Every Size movement and TrailNet’s TrailNet on Tap: Active Transportation for Health at Every Size. Part one can be read here. Check out TrailNet on Tap: Active Transportation for Health at Every Size, Wednesday, August 28th at 7pm at Urban Eats Cafe […]
• These data records were left in the article by mistake:
[1]
75
Properties=species:S:1:pos:R:3:forces:R:3 method="wB97M-V/def2-TZVPD" homo_energy_ha=-0.540 homo_lumo_gap_ev=6.537 total_charge=+2 largest_force_ev_per_a=8.0 spin_multiplicity=1
Ba 3.820 1.793 -1.897 -1.14 -1.17 2.01
N 1.199 4.593 -0.145 1.74 1.24 -1.53
H 1.204 5.170 0.684 -0.47 0.38 1.57
H 0.899 5.140 -0.939 -1.06 0.10 -0.18
H 0.864 3.641 -0.096 -1.36 -1.75 0.50
H 2.184 4.500 -0.346 0.58 -0.19 0.37
N 0.003 0.242 -2.663 0.40 1.21 0.62
H 0.329 0.232 -1.707 0.10 -0.04 1.57
H 0.794 0.699 -3.094 -0.10 -0.64 -0.94
H -0.766 0.895 -2.712 -1.12 -0.03 -0.02
H -0.140 -0.729 -2.901 -0.12 -0.61 -1.03
C 1.546 1.318 0.071 -1.42 2.06 -1.72
O 1.752 0.336 -0.619 3.49 -6.19 -3.76
O 2.509 1.933 0.549 4.12 2.73 1.54
O 0.435 1.809 -0.120 -3.72 3.28 1.31
O 2.569 -2.719 -5.200 -2.24 -0.87 3.13
S 1.658 -2.874 -4.024 1.46 -0.87 -0.44
O 0.519 -1.994 -3.954 0.28 -0.14 -0.14
O 0.994 -4.358 -3.768 0.73 2.63 -0.71
C 1.918 -5.451 -3.828 0.35 -0.41 -1.98
C 1.121 -6.718 -3.818 -0.22 -1.59 1.45
C 2.638 -2.731 -2.419 -0.70 -0.56 -1.74
H 2.709 -5.317 -3.090 -0.39 -0.48 0.49
H 2.415 -5.398 -4.797 0.21 0.13 -0.09
H 0.606 -7.136 -4.683 0.18 1.13 -0.60
H 0.367 -6.715 -3.031 0.05 0.19 0.18
H 1.772 -7.555 -3.566 0.31 0.09 0.25
H 2.072 -3.290 -1.674 0.01 0.24 -0.01
H 2.716 -1.670 -2.182 0.02 -0.11 0.05
H 3.586 -3.228 -2.622 0.07 0.31 0.12
O -2.266 1.862 -2.197 -0.43 -0.28 0.15
S -3.265 2.494 -1.367 -1.82 2.19 1.90
O -3.854 3.771 -1.820 1.26 -3.18 0.91
O -4.539 1.504 -0.987 1.64 1.20 -0.54
C -4.325 0.248 -0.305 -0.87 -1.85 -1.31
C -5.373 -0.772 -0.801 -0.16 -0.44 0.51
C -2.534 2.791 0.343 -0.43 -0.59 -0.93
H -4.472 0.277 0.775 0.44 0.82 -0.02
H -3.397 -0.232 -0.617 0.54 0.58 0.41
H -6.401 -0.421 -0.710 0.12 0.23 -0.32
H -5.338 -1.640 -0.143 0.14 0.06 0.53
H -5.179 -1.273 -1.749 0.01 0.84 -0.40
H -3.352 2.996 1.033 -0.05 0.52 -0.37
H -1.817 3.600 0.207 -0.36 0.09 0.10
H -2.001 1.939 0.764 0.04 -0.22 -0.63
O 1.217 -4.089 0.285 -2.78 2.13 -0.16
S 0.225 -2.990 0.399 -0.83 -0.61 0.60
O -0.365 -2.330 -0.800 1.60 -1.20 2.31
O -1.072 -3.479 1.361 2.43 0.08 -1.07
C -2.097 -2.515 1.704 -0.36 0.43 -2.17
C -2.934 -3.056 2.770 -0.88 -0.81 1.52
C 1.023 -1.812 1.532 -0.88 0.01 -0.46
H -2.744 -2.415 0.833 0.21 0.19 -0.38
H -1.686 -1.525 1.903 0.20 -0.09 0.26
H -3.879 -2.527 2.889 0.34 0.84 0.14
H -2.382 -3.088 3.710 -0.32 -0.19 0.13
H -3.374 -4.026 2.538 0.76 -0.40 -0.13
H 1.168 -2.244 2.522 0.32 -0.57 -0.41
H 0.335 -0.987 1.715 0.18 0.24 -0.49
H 1.929 -1.513 1.004 -0.09 0.11 0.35
O 1.671 5.917 2.310 0.52 -0.39 -0.03
S 2.548 5.435 3.371 -0.20 -0.51 2.14
O 3.115 6.390 4.312 -0.85 -2.01 -1.93
O 1.686 4.323 4.276 1.56 1.31 -0.86
C 0.842 3.460 3.518 -1.67 -0.64 -0.29
C 0.439 2.162 4.286 1.20 1.79 0.41
C 3.791 4.260 2.660 -0.97 1.16 0.87
H 1.251 3.155 2.555 0.57 0.05 0.05
H -0.043 4.049 3.275 -0.21 -0.07 -0.01
H 1.273 1.952 4.956 0.28 -0.56 -0.31
H 0.282 1.379 3.544 -0.29 -0.07 0.44
H -0.352 2.363 5.010 -0.46 -0.24 -0.56
H 4.180 3.766 3.551 0.33 0.10 -0.22
H 4.514 4.880 2.131 0.09 -0.20 0.10
In Honor of World Naked Bike Ride: Nude News from Around the World
by David Wraith Did you know that St. Louis is host to one of the biggest World Naked Bike Ride’s in the country? Well, if you don’t know, now you know. Last week we celebrated Nude Recreation Week with our Bare As You Dare workshop, and now we’re eagerly awaiting the best naked party in […]
Misplaced molecular data
The following is a quantum chemistry calculation of a cluster of 9 separate species, C7H28O9 in total, from OMol25.

Values from the calculation:
Energy above the lowest of the compared OMol25 structures with the same formula, charge and spin, kcal/mol: 0.0
LUMO level, eV: 0.2342

Geometry as XYZ:
```
44
C7H28O9 | OMol25 | the ωB97M-V functional and the def2-TZVPD basis
C 1.02 2.96 -2.37
C -0.33 2.25 -2.21
C -0.17 0.90 -1.55
C -0.18 0.79 -0.22
C -0.02 -0.48 0.49
C 0.65 -0.61 1.63
O 0.77 -1.88 2.19
C 0.02 -0.26 -2.48
H 1.67 2.40 -3.05
H 1.51 3.08 -1.41
H 0.89 3.95 -2.83
H -0.80 2.13 -3.19
H -1.00 2.87 -1.62
H -0.31 1.69 0.36
H -0.51 -1.36 0.07
H 1.15 0.18 2.17
H 1.29 -1.86 2.99
H -0.91 -0.83 -2.59
H 0.72 -1.02 -2.11
H 0.34 0.06 -3.47
H 2.36 1.61 0.57
H 2.99 2.69 1.50
O 2.14 2.37 1.17
H -1.15 -3.11 -1.52
H 0.37 -3.22 -1.27
O -0.35 -3.56 -1.83
H 1.57 -2.69 0.67
H 2.65 -3.42 -0.18
O 2.06 -2.66 -0.16
H -1.69 -0.41 2.73
H -1.46 1.10 2.71
O -2.17 0.42 2.68
H -3.32 -2.27 -1.65
H -2.91 -1.37 -0.46
O -2.70 -2.23 -0.91
H 0.69 2.28 2.24
H -0.40 3.16 2.93
O -0.06 2.26 2.88
H -2.94 0.32 1.08
H -4.39 -0.01 0.70
O -3.52 0.12 0.31
H 2.61 -0.61 -0.22
H 2.51 0.47 -1.29
O 2.96 0.26 -0.46
```



The following is a quantum chemistry calculation of a cluster of 2 separate species, C9H22N3 in total, from OMol25.

Values from the calculation:
Energy above the lowest of the compared OMol25 structures with the same formula, charge and spin, kcal/mol: 77.7
LUMO level (alpha / beta), eV: -4.8391 / -4.7520
Total charge: +1

Geometry as XYZ:
```
34
C9H22N3 | OMol25 | the ωB97M-V functional and the def2-TZVPD basis
C 2.10 0.13 0.15
C -0.75 -1.70 -1.51
C 0.71 -2.20 0.61
C -1.67 -1.91 0.89
C -1.62 1.25 -1.21
C -1.48 1.75 1.15
C 0.58 2.23 -0.19
C -0.45 -1.38 0.02
C -0.67 1.22 -0.06
N 2.71 0.16 -0.99
N -0.18 -0.06 0.41
N 2.68 0.45 1.28
H -0.47 -0.90 -2.05
H -0.23 -2.67 -1.67
H -1.84 -1.77 -1.84
H 1.05 -1.78 1.57
H 1.43 -2.14 -0.21
H 0.48 -3.25 0.78
H -2.50 -1.22 0.93
H -1.89 -2.85 0.47
H -1.26 -1.98 1.96
H -2.47 0.60 -1.01
H -1.97 2.27 -1.15
H -1.35 0.99 -2.26
H -1.93 0.90 1.66
H -2.22 2.51 0.75
H -0.78 2.16 1.80
H 1.24 2.26 0.74
H 1.08 2.08 -1.13
H 0.17 3.29 -0.42
H 2.27 -0.43 -1.71
H 3.75 0.39 -1.04
H 3.52 1.08 1.23
H 1.97 0.51 2.02
```



The following is a quantum chemistry calculation of a structure of composition C19H20FN8OY, from OMol25.

Values from the calculation:
Energy above the lowest of the compared OMol25 structures with the same formula, charge and spin, kcal/mol: 0.0
LUMO level, eV: -6.2873
Total charge: +2

Geometry as XYZ:
```
50
C19H20FN8OY | OMol25 | the ωB97M-V functional and the def2-TZVPD basis
Y 0.31 1.41 -0.98
N 3.18 1.46 -2.89
C 3.61 1.29 -1.62
N 4.90 1.24 -1.38
C 5.26 1.21 -0.09
N 6.54 1.11 0.21
N 4.38 1.31 0.94
C 3.12 1.25 0.60
N 2.65 1.16 -0.66
C 2.11 1.38 1.70
C 2.53 1.52 3.01
C 1.57 1.68 4.00
C 0.23 1.72 3.65
C -0.11 1.58 2.31
N 0.81 1.42 1.35
H 3.93 1.57 -3.56
H 2.41 2.10 -3.03
H 7.22 1.08 -0.53
H 6.83 1.13 1.17
H 3.58 1.50 3.24
H 1.86 1.80 5.03
Trans Folk Welcome
by David Wraith Most of the time, when Team SEX+ is out and about, it’s at our own events where most people we meet are fellow travelers. The summer months gave us the chance to get out in the community and interact with people who are less familiar with who we are and what we […]
Clothing Optional Pool Party II: The Revenge
by David Wraith You know what they say about summer blockbusters? They demand sequels. Last year’s Clothing Optional Pool Party was such a big hit; we’ve turned it into a franchise! Just when you thought it was safe to go back in the water… Coming August 11th at 1pm to a ridiculously huge pool in […]
SlutWalk St. Louis 2012: Big Ups, Mad Props and Sincere Thanks
by David Wraith SlutWalk 2012 was amazing. There are so many people to thank. Our Co-Sponsors: First, to Chip Schloss, Jim Kellogg and everyone at the Atomic Cowboy: Everything we asked for, we got, quickly and courteously. We couldn’t ask for a more supportive venue. Thank you so much! To TransHaven: Claire Swinford, your presentation […]
SEX+STL Discussion Group: Sex-Positive: What Does It Mean?
by David Wraith When we started Sex Positive St. Louis in 2010, some people heard the words “sex” and “positive” put together and assumed we were an organization for people living with HIV. Some suggested that we change the name. We decided early on that the term “sex positive” was so powerful and meaningful that […]
Ownership of My Body
by David Wraith When I was in my 20s and weighed 168 pounds, I couldn’t pay someone to take pictures of me naked. Mostly because I was a college student, working in a video store and didn’t have the money. The strange trajectory of my life has brought me to a place where, as I […]
Queen of Hearts: Naked Dessert Bar
# Quantum chemistry results that have nothing to do with the entry
1.
This record from the Open Molecules 2025 dataset describes the molecule C23H27N3O3S. The level of theory is wB97M-V/def2-TZVPD.

The value obtained for the highest occupied orbital energy is -7.8 eV. The calculation puts the largest force on an atom at 0.9 eV Å⁻¹. The value obtained for the HOMO-LUMO gap is 7.7 eV. The energy relative to the best compared isomer or geometry (same formula, charge and spin) is 0.939 eV. For the total energy, the calculation gives -1680.85140 Eh. The SMILES is Cc1ccc(C)c2[nH]c(=O)c(CN(C[C@H]3CCCO3)C(=S)NCc3ccco3)cc12.

```
! RIJCOSX wB97M-V def2-TZVPD def2/J DEFGRID3
* xyz 0 1
H 2.767 -3.569 -2.278
C 1.857 0.643 0.312
H -2.447 -1.449 2.280
C -0.851 -2.497 1.211
H 2.870 0.239 0.202
C 1.019 1.575 2.419
H -1.889 0.361 -2.258
O 0.553 -2.412 1.341
C -0.268 6.308 -0.330
C 0.645 -3.336 -2.444
C -1.405 -1.315 2.000
C 0.378 -2.022 -2.003
H -0.063 -4.937 -3.656
H -2.694 -0.359 -4.286
C -0.066 4.910 1.386
N -1.046 -0.111 -1.952
C -2.938 -1.287 -3.769
C 0.948 -0.075 -0.650
H 1.851 -4.121 -0.873
H 2.258 -0.380 3.400
C 1.924 -0.683 2.402
H -0.801 -2.017 3.950
C -0.270 0.590 -1.070
N 1.464 0.498 1.705
H 0.413 8.006 0.936
C -0.248 -3.932 -3.308
H 2.769 -1.110 1.860
S 1.176 1.667 4.074
H 0.083 2.390 0.795
C -1.393 -3.268 -3.741
N 0.467 2.583 1.722
C 1.854 -4.072 -1.961
C 0.168 6.976 0.770
H -1.209 -3.445 1.642
H 0.641 4.038 3.191
H -0.458 6.718 -1.301
C -0.795 -1.370 -2.430
H -2.066 -3.769 -4.421
H -1.095 -2.482 0.147
H 1.884 1.707 0.064
C -0.424 4.958 0.070
H -3.585 -1.053 -2.924
H -1.026 3.606 2.784
C -0.458 -1.308 3.196
H 1.865 -5.084 -2.356
C 0.871 -1.792 2.589
O -0.630 1.711 -0.714
H 1.340 -2.549 3.235
H 2.153 -1.789 -0.799
H -3.495 -1.919 -4.455
C 1.239 -1.312 -1.115
O 0.296 6.138 1.813
H -1.302 -0.395 1.424
H -0.356 -0.332 3.660
C -0.024 3.781 2.361
C -1.693 -1.991 -3.314
H -0.754 4.139 -0.536
*
```

2.
This record from the Open Molecules 2025 dataset describes a structure of composition C23H31N4O3Si2W at a distorted geometry. The level of theory is wB97M-V/def2-TZVPD.

The value obtained for the highest occupied orbital energy is -17.2 eV. The calculation puts the largest force on an atom at 1.6 eV Å⁻¹. The value obtained for the HOMO-LUMO gap is 6.4 eV. The energy relative to the best compared isomer or geometry (same formula, charge and spin) is 1.443 eV. For the total energy, the calculation gives -1984.93621 Eh.

```
! RIJCOSX wB97M-V def2-TZVPD def2/J DEFGRID3
* xyz 3 1
H -1.413 -3.765 -0.712
C 0.188 -2.442 -0.294
N 0.532 3.189 1.546
H 1.859 -1.415 6.684
C -0.374 -3.813 -0.402
C -2.073 1.001 -5.017
C 2.430 -3.285 0.336
C -2.162 2.350 -3.028
H -3.469 3.796 -0.403
C -0.637 -1.660 -3.413
C 2.144 -0.914 0.060
H -1.730 0.138 -5.574
C -3.367 3.056 -4.992
C -2.382 3.924 -0.423
H -3.348 4.166 -3.170
C 0.140 2.277 0.973
H 2.034 0.060 -2.793
H -2.724 -0.643 0.814
C 0.198 -0.414 2.860
H 1.361 0.824 -4.243
C -0.256 -1.099 4.126
C 4.300 -1.794 0.548
H 5.356 -1.639 0.722
H 1.444 1.732 -2.737
C -1.686 1.208 -3.700
by David Wraith Two things in life that you don’t have to sell are sex and chocolate. They sell themselves; you merely have to offer them. So, you’d think that selling delicious, chocolate-covered desserts off the nearly naked bodies of some of St. Louis’s hottest bloggers and performers would be a no-brainer, right? One question? […]
I Fucked David Wraith: Lee’s Story
by Lee Harrington The first time I went on a date with David, I thought it was going to be a booty call. I had visions of lips on lips (as there had been earlier that night), hips on hips, his cock pumping in and out of me… But yeah, that did not happen. […]
I Fucked David Wraith: Wink’s Story
Editor’s Note: This guest post by my friend and occasional lover, Wink, is the first in the “I Fucked David Wraith” series. Wink and I met at Beat Me in St. Louis and bonded over the fact that we both suffer from panic attacks and are wary of large crowds. by Wink Ever hear the […]